Monday, November 30, 2009

┌──
[1]
Entry from the OMol25 dataset: a cluster of 5 separate species, F12H4N3O6P2 in total (ωB97M-V/def2-TZVPD).

## Properties
M = 432.0 g/mol
HOMO-LUMO gap = 0.279 hartree
E_HOMO = 0.17 eV
Relative energy (zero: lowest compared OMol25 entry of this formula, charge and spin) = 113.19 kJ/mol
LUMO = 0.28504 Ha

Structure (ORCA input):
```
! wB97M-V def2-TZVPD RIJCOSX def2/J DEFGRID3
* xyz -3 1
N 0.212 0.059 -0.421
H 0.036 -0.619 0.307
H 0.903 -0.354 -1.032
H 0.576 0.867 0.063
H -0.688 0.273 -0.825
N 2.665 0.176 -2.562
O 1.823 -0.737 -2.555
O 2.470 1.305 -2.909
O 3.651 -0.025 -1.893
N 1.950 3.276 0.594
O 2.598 3.320 -0.413
O 1.964 4.179 1.404
O 1.263 2.274 0.739
P -3.030 -0.489 -1.855
F -4.194 0.412 -1.159
F -1.890 0.698 -1.675
F -2.651 -0.910 -0.314
F -1.700 -1.336 -2.178
F -4.063 -1.784 -1.968
F -3.324 -0.099 -3.428
P 0.199 -1.457 3.178
F 0.870 -2.142 1.868
F 1.621 -1.796 3.929
F 0.677 -0.045 2.612
F -0.450 -0.725 4.493
F -1.133 -1.437 2.299
F -0.351 -2.885 3.700
*
```

---

[2]
Entry from the OMol25 dataset: a structure of composition C50H46CaGeN6OP2 (ωB97M-V/def2-TZVPD).

## Properties
M = 921.6 g/mol
HOMO-LUMO gap (alpha / beta) = 0.163 / 0.202 hartree
E_HOMO (alpha / beta) = -0.61 / -1.67 eV
Relative energy (zero: lowest compared OMol25 entry of this formula, charge and spin) = 0.00 kJ/mol
LUMO (alpha / beta) = 0.14067 / 0.14066 Ha

Structure (ORCA input):
```
! wB97M-V def2-TZVPD RIJCOSX def2/J DEFGRID3
* xyz -2 1
Ca -1.129 0.085 -1.280
C 2.183 -1.940 2.620
C 0.704 -1.897 3.025
P 0.059 -0.173 3.244
C 0.745 0.154 4.945
C 1.654 1.196 5.114
C 2.191 1.482 6.365
C 1.826 0.725 7.467
C 0.926 -0.324 7.314
C 0.394 -0.604 6.064
C -1.686 -0.456 3.745
C -2.372 -1.657 3.587
C -3.718 -1.755 3.914
C -4.395 -0.655 4.417
C -3.723 0.549 4.580
C -2.384 0.647 4.236
C 2.469 -1.185 1.307
P 3.253 0.465 1.595
C 2.847 1.423 0.099
C 2.492 2.758 0.282
C 2.233 3.581 -0.808
C 2.320 3.072 -2.095
C 2.660 1.739 -2.292
C 2.920 0.920 -1.204
C 5.010 0.032 1.238
C 5.558 -1.153 1.737
C 6.903 -1.450 1.565
C 7.734 -0.566 0.891
C 7.204 0.614 0.389
C 5.858 0.909 0.559
H 2.473 -2.987 2.497
H 2.798 -1.545 3.436
H 0.543 -2.482 3.934
H 0.112 -2.332 2.217
H 1.958 1.771 4.246
H 2.897 2.297 6.474
H 2.240 0.947 8.444
H 0.633 -0.918 8.172
H -0.326 -1.408 5.956
H -1.879 -2.517 3.151
H -4.247 -2.681 3.725
H -5.452 -0.725 4.646
H -4.250 1.423 4.944
H -1.873 1.600 4.333
H 1.528 -1.014 0.778
H 3.105 -1.775 0.648
H 2.396 3.148 1.290
H 1.901 4.602 -0.652
H 2.072 3.700 -2.944
H 2.666 1.322 -3.291
H 3.174 -0.121 -1.374
H 4.926 -1.858 2.265
H 7.301 -2.379 1.956
H 8.783 -0.798 0.752
H 7.839 1.308 -0.150
H 5.454 1.825 0.145
N -0.556 7.703 -8.472
C -0.573 6.873 -7.670
C -0.592 5.851 -6.683
C -1.612 5.799 -5.718
C -1.619 4.812 -4.760
C -0.623 3.808 -4.709
C 0.385 3.875 -5.698
C 0.410 4.868 -6.650
C -0.629 2.774 -3.684
C -0.341 1.434 -4.117
C -0.315 0.997 -5.462
C 0.032 -0.356 -5.449
C 0.195 -0.690 -4.108
N -0.037 0.365 -3.292
C -0.887 3.205 -2.342
C -0.885 4.548 -1.888
C -1.108 4.515 -0.512
└──

Fever, 1793

You have now finished reading your literature circle novel. After discussing the book with your group, share your final impressions of the book.

*In an earlier blog post you talked about a challenge in the novel, how was the challenge faced in your novel?
*Which character did you relate to the most? Why?
* What did you learn from the book?

Using the iTouches, answer all of the above questions in complete sentences.


  1. I relate to Mattie the most! Mattie was a lot llike me becaus she was a bit stubborn, and at first shy, but towards the end, she became her own person! Mattie was a great person throughout the book! And since it was in first person, you automatically connected with her the most! The challenge was about the plague of yellow fever, and they faced the challenge my being bled, going to french doctors, or leaving the country! I learned about courage from this book and I learned that even when things get really rough, If you're around people you care about things won't feel that bad!

  2. Stori S. Jacobs 7 =]December 2, 2009 at 2:19 PM

    I don't really think I relate specificly to any one character but that my essence moves through all of them. I learned how serious this epeidemic was cuz at first i thought it was like a flu or something less devistating...

  3. The challenge that faced Mattie was when her mother got ill with yellow fever. She had a hard time with this at first but once learned that things would work out, she began to breath. I think I most relate to Mattie. One way that I realte to her is that her name is Mattie and so is mine. She also is a bit stubborn and I am too at times. I also can realte to Mattie by striving to be the best I can at all times. The main thing I learned from reading Fever 1793, is hat no matter how tough things get you always will have someone to lean on. Mattie had Eliza and I have my friends and family.

  4. The challenge that I mentioned earlier was about how Mattie’s mother was diagnosed with Yellow Fever. Mattie faced this challenge by having hope that her mother was alive and out of harms way. By believing this, Mattie was able to keep going and not give up when times were rough. I related to Mattie the most because she is hardworking, ambitious, and strong-willed. I always make sure that I am trying my best, I have many goals for the future, and I am quite stubborn at times. While reading Fever 1793, I learned a lot. I never knew that yellow fever was a huge problem in the past. I had always thought that it was not that serious of a disease. Another thing that I learned was that Philadelphia was the first capital of the US. But, the most important thing I learned from Fever 1793 was to never give up and things will work out for the best.

  5. The challenge in my novel was the yellow fever. People paniced and most left the city. Mattie stayed and survived. I think I relate to Mattie the most, because I would make a lot of the same decisions that she made. We act the same too. I kearned that if you do what you think is right you will overcome your obstacles.

  6. A problem that I mentioned earlier was that Matties mom had yellow fever. She beleived that her mom would get better and I think that it helped a lot. I related most to Mattie. She is strong willed, hardworking, and focused. I am that way too. I learned that yellow fever was such a big problem. I also learned a buy about what they thought would help cure you. We now know that bleeding out a bit will harm you more because you need white blood cells to help your immune system and when you bleed, well let's say it doesn't help at all...

  7. I finished reading the last third of Fever1793. In the last part of the book starts with Mattie and Eliza at the coffeehouse trying to save a kid whos name is Nell. While keeping Nell in mid October the days became swelteringly hot. During the unbearably hot days Nell and Mattie both fall very ill. Then the first frost comes, and with it the end of Mattie and Nells case of yellow fever. Not only that, but Mattie gets her mother butin frail condition but still alive. I liked this book a lot.

Misplaced quantum chemistry results:
┌──
(1)
Below is a structure of composition C4H22B4FNO5Tl, with properties calculated with the ωB97M-V functional and the def2-TZVPD basis.

Geometry (Å):
Tl (0.159, -0.293, 1.424)
B (2.804, -0.430, -0.169)
H (2.551, -0.965, 0.733)
H (2.161, -0.822, -0.942)
H (2.636, 0.624, -0.009)
H (3.818, -0.486, -0.533)
B (1.190, -1.900, 4.017)
H (1.571, -0.985, 3.592)
H (0.133, -1.987, 3.819)
H (1.577, -2.802, 3.569)
H (1.327, -2.061, 5.075)
B (-1.112, 0.942, 4.216)
H (-0.724, 1.908, 4.501)
H (-0.289, 0.287, 3.977)
H (-1.580, 0.454, 5.057)
H (-1.752, 1.056, 3.354)
B (-2.214, -1.952, 1.114)
H (-2.962, -2.705, 0.924)
H (-2.318, -0.975, 0.667)
H (-2.157, -1.856, 2.188)
H (-1.314, -2.429, 0.757)
C (-2.517, -0.441, -4.270)
C (-1.153, -0.610, -4.805)
O (-0.447, -0.943, -3.642)
C (-1.040, -0.517, -2.568)
O (-0.526, -0.358, -1.460)
O (-2.240, 0.036, -2.943)
F (-0.627, 0.578, -5.200)
H (-3.170, -1.304, -4.142)
H (-3.073, 0.339, -4.790)
H (-0.864, -1.252, -5.637)
C (2.212, 3.573, -1.039)
N (1.079, 2.613, -1.239)
O (0.772, 2.275, -2.385)
O (0.566, 2.113, -0.241)
H (3.145, 3.177, -1.441)
H (2.409, 3.601, 0.033)
H (1.967, 4.497, -1.563)

Calculated values
Kohn-Sham gap (spin up / spin down): 6.558 / 4.218 eV
HOMO energy (spin up / spin down): -2.403 / -1.940 eV
<S²>: 0.76
total charge: -2
spin multiplicity: 2

Atomic partial charges in e from the natural (NBO) method, atoms 1 to 8:
1 Tl 1.012
2 B -0.839
3 H -0.020
4 H -0.009
5 H -0.046
6 H -0.019
7 B -0.741
8 H -0.040

(2)
Below is a cluster of 7 separate species, C4H22N2O7 in total, with properties calculated with the ωB97M-V functional and the def2-TZVPD basis.

Geometry (Å):
N (-2.217, -1.280, 0.713)
C (-1.811, 0.081, 1.095)
C (-2.696, 1.281, 0.723)
C (-0.342, 0.273, 0.499)
N (0.727, -0.412, 1.056)
C (0.582, -0.999, 2.427)
O (-0.049, 0.780, -0.572)
H (-3.223, -1.306, 0.883)
H (-2.226, -1.442, -0.289)
H (-1.650, -0.254, 2.183)
H (-2.760, 1.188, -0.383)
H (-2.293, 2.260, 1.070)
H (-3.746, 1.183, 1.107)
H (1.643, 0.029, 0.841)
H (1.652, -0.920, 2.816)
H (0.057, -0.371, 3.154)
H (0.139, -2.037, 2.419)
H (-0.313, -2.968, -0.570)
H (-0.176, -2.711, -2.059)
O (0.123, -3.317, -1.310)
H (2.686, -1.272, -1.913)
H (1.652, -2.393, -1.863)
O (2.302, -2.004, -2.427)
H (0.038, -1.110, -3.641)
H (-0.485, -0.479, -2.334)
O (-0.586, -1.317, -2.889)
H (0.160, 3.643, -0.466)
H (1.298, 2.875, -0.063)
O (0.880, 3.693, 0.194)
H (1.620, 1.014, -0.735)
H (2.992, 1.493, -0.214)
O (2.600, 0.830, -0.730)
H (-0.242, 2.364, 3.001)
H (-0.048, 2.734, 1.508)
O (-0.408, 2.111, 2.101)

Calculated values
energy above the lowest of the compared OMol25 structures with the same formula, charge and spin: 47.3 kcal per mole
Kohn-Sham gap (spin up / spin down): 9.448 / 4.123 eV
HOMO energy (spin up / spin down): -13.494 / -13.493 eV
<S²>: 0.77
total charge: +1
spin multiplicity: 2

Atomic partial charges in e from the natural (NBO) method, atoms 1 to 8:
1 N -0.828
2 C -0.114
3 C -0.650
4 C 0.707
5 N -0.187
6 C -0.499
7 O -0.521
8 H 0.392

(3)
└──

  8. The main challenge in my novel, Fever 1793, was the unexspected arrival of the Yellow Fever. Many people in Philidelphia where diagnosed with the deadly disease, and half of the population fled to the country-side. Many families where split apart, inclding Maggies' family. In her family Maggie and her mother over came the Yellow Fever, while the Grandfather was strangled to death by the robbers. And eventualy Maggie and her mother where reunited, along with Eliza. If I was to relate to any of the charecters i would relate myself to elizas' twin boys. I can relate myself to them because I also have a twin, and I was also the first in my family to be diagnosed with the swine flue. From this book I learned that no matter how bad things look you should always have an optomistic aitude because theres always a chance that everthings going to be ok.
